How Joe Almost Ruined ChristmasTwo gifts

Joe is a great guy with a huge ego. Even though he actually is very smart, he does not know how to give gifts.

On Christmas morning, Petey, Joe’s 4-year-old son, finally gets to open his biggest present under the tree. Petey has been thinking about that big box all week and his hands shake as he unwraps it.

“A big Lego dump truck! Wow! Yay!” Petey jumps up and down and tries to open the box.

Joe grabs the box and says, “Here, let me help you.” He pulls out the instructions and says, “OK, let’s find the base. Oh, here it is. Put it right here.”

Petey says, “Okay” and does as he’s told. Joe is having a great time, but Petey looks tired and grumpy. He starts to play with the pieces and Joe says, “Hey, pay attention and watch how to do this.”

Petey suddenly throws all the Lego bricks around the house and laughs. Joe says, “Hey! Go to your room!” As Petey leaves, he tells his wife, “I can’t believe this! I give him this wonderful Lego set and he ruins it! He’s a real bad kid sometimes.”

Next to the article, the page also holds materials data =
[1]
Compound: Li3Co2O5
Source: the Materials Project database
Functional: GGA+U
Structure: optimized geometry Values from VASP.

Cell and atoms, written as Quantum ESPRESSO input:
```
&SYSTEM
  ibrav = 0, nat = 20, ntyp = 3
/
ATOMIC_SPECIES
Li 6.94 Li.upf
Co 58.93 Co.upf
O 16.00 O.upf
CELL_PARAMETERS angstrom
2.943 0.000 0.000
-0.109 5.073 0.000
-0.933 -1.092 11.931
ATOMIC_POSITIONS angstrom
Li 1.005 -0.546 5.965
Li 2.312 3.722 3.591
Li 0.738 2.932 1.210
Li 1.163 1.048 10.721
Li -0.411 0.259 8.340
Li -0.521 1.990 5.965
Co 1.027 2.735 8.243
Co 0.875 1.246 3.688
Co 2.259 0.445 1.212
Co -0.358 3.536 10.719
O -0.605 3.620 7.242
O 0.881 2.705 4.651
O 2.187 1.992 2.451
O 0.684 1.186 0.032
O 1.140 -0.816 9.535
O 2.506 0.361 4.688
O 0.761 4.796 2.396
O 1.217 2.794 11.899
O -0.286 1.989 9.479
O 1.020 1.276 7.279
```

Properties
Energy above the lowest structure with this stoichiometry in eV per atom: 0.073
Corrected total energy (MP2020 scheme) in eV for the cell shown: -122.743
Formation energy in eV/atom: -1.67

***

[2]
Compound: LiFeF5
Source: the Materials Project database
Functional: GGA+U
Structure: optimized geometry Values from VASP.

Cell and atoms, written as Quantum ESPRESSO input:
```
&SYSTEM
  ibrav = 0, nat = 14, ntyp = 3
/
ATOMIC_SPECIES
Li 6.94 Li.upf
Fe 55.84 Fe.upf
F 19.00 F.upf
CELL_PARAMETERS angstrom
3.036 4.239 0.000
-3.036 4.239 0.000
0.000 3.594 6.832
ATOMIC_POSITIONS angstrom
Li 0.013 5.138 1.708
Li -0.013 6.935 5.124
Fe 0.000 0.000 0.000
Fe 0.000 1.797 3.416
F 0.157 6.911 0.865
F -1.278 5.715 3.122
F -0.157 8.708 4.281
F 2.454 5.138 1.708
F -1.278 4.561 0.294
F 1.278 7.512 6.538
F -2.454 6.935 5.124
F 0.157 3.365 2.551
F 1.278 6.358 3.710
F -0.157 5.162 5.967
```

Properties
Energy above the lowest structure with this stoichiometry in eV per atom: 0.000
Corrected total energy (MP2020 scheme) in eV for the cell shown: -74.270
Formation energy in eV/atom: -2.45

***

[3]
Compound: LiV2O4
Source: the Materials Project database
Functional: GGA+U
Structure: optimized geometry Values from VASP.

Cell and atoms, written as Quantum ESPRESSO input:
```
&SYSTEM
  ibrav = 0, nat = 14, ntyp = 3
/
ATOMIC_SPECIES
Li 6.94 Li.upf
V 50.94 V.upf
O 16.00 O.upf
CELL_PARAMETERS angstrom
5.168 -0.058 3.013
1.671 4.880 3.007
0.012 0.002 6.005
ATOMIC_POSITIONS angstrom
Li 5.991 4.217 10.519
Li 0.859 0.606 1.506
V 4.261 4.852 7.517
V 0.841 2.441 4.506
V 3.419 2.411 3.010
V 3.425 2.412 6.013
O 1.858 1.309 3.122
O 1.861 1.301 5.885
O 4.992 3.515 8.904
O 4.989 3.523 6.141
O 2.699 3.526 7.511
O 2.603 3.467 4.516
O 4.151 1.298 4.514
O 4.247 1.357 7.509
```

Properties
Energy above the lowest structure with this stoichiometry in eV per atom: 0.000
Corrected total energy (MP2020 scheme) in eV for the cell shown: -114.847
Formation energy in eV/atom: -2.51

***

[4]
Compound: V3O5F
Source: the Materials Project database
Functional: GGA+U
Structure: optimized geometry Values from VASP.

Cell and atoms, written as Quantum ESPRESSO input:
```
&SYSTEM

Joe then gives his wife a beautiful red box. As she unwraps it, she says, “Wow! I’ve always wanted a new iPhone! Thank you, Joe!” Joe is also excited and says, “Here, give it to me and I’ll set it up.” She says, “No, I can do it,” but Joe insists. “I’ve done this before, and you’ll be glad I did.”

She says, “Fine” and leaves to check on Petey.

Joe has a great time setting up the phone, then wonders why his family has left him alone. “Hey you guys! Come enjoy your gifts!”

His wife says, “Petey is just lying on his bed. I want to call my family. Go ahead and do whatever you want.”

Joe calls his sister and tells her about their sad Christmas. “Why don’t they love my gifts? I even tried to help Petey put it together and to help Sheila set up her iPhone! I get no respect here.”

_Attached: crystal structures_
+++
Density functional theory data (r²SCAN) for a relaxed Sm5Ir3 crystal.

a = 11.077 Å, b = 11.077 Å, c = 6.481 Å
α = 90.00°, β = 90.00°, γ = 90.00°
Positions (direct):
1 Sm 0.043 0.160 0.114
2 Sm 0.043 0.340 0.614
3 Sm 0.160 0.043 0.614
4 Sm 0.160 0.457 0.114
5 Sm 0.250 0.750 0.000
6 Sm 0.250 0.750 0.500
7 Sm 0.340 0.043 0.114
8 Sm 0.340 0.457 0.614
9 Sm 0.457 0.160 0.614
10 Sm 0.457 0.340 0.114
11 Sm 0.543 0.660 0.886
12 Sm 0.543 0.840 0.386
13 Sm 0.660 0.543 0.386
14 Sm 0.660 0.957 0.886
15 Sm 0.750 0.250 0.000
16 Sm 0.750 0.250 0.500
17 Sm 0.840 0.543 0.886
18 Sm 0.840 0.957 0.386
19 Sm 0.957 0.660 0.386
20 Sm 0.957 0.840 0.886
21 Ir 0.096 0.596 0.750
22 Ir 0.096 0.904 0.250
23 Ir 0.250 0.250 0.372
24 Ir 0.250 0.250 0.872
25 Ir 0.404 0.596 0.250
26 Ir 0.404 0.904 0.750
27 Ir 0.596 0.096 0.250
28 Ir 0.596 0.404 0.750
29 Ir 0.750 0.750 0.128
30 Ir 0.750 0.750 0.628
31 Ir 0.904 0.096 0.750
32 Ir 0.904 0.404 0.250

Calculated values
Its final energy is -39.005 eV per atom. Its calculated volume is 795 Å³/cell. The formation enthalpy at 0 K is -0.7873 eV/atom.
+++

His older sister explains the best way to give gifts from the article “Gift Giving.”

She says, “Joe, stop being a big shot controlling jerk.” (Only his big sister talks to him this way.) “When you give someone a present, they own it. You have to give them full control of the gift. If you don’t, and if you try to stay in control of it, you ruin the entire experience. You become the bad guy.”

Joe says, “Really? But I know the best way to set up iPhones! And I’m really good at building Legos. I want to show them how so they can become as good as me. What’s wrong with that?”

His sister says, “C’mon Joe. Remember how you hated it when Dad would do that with you?”

Joe has a long pause and sighs. “Oh, right. I get it. Wow, I’ve been a jerk. Thanks sis.”

48629090916 4406ced169 cJoe grabs the iPhone, sets it back to the factory settings and gives it to Sheila.

“Sorry, here’s your phone. It’s better if you set it up the way you want it.”

Sheila’s eyes sparkle. “Oh! Okay, I will!” She hugs the phone and hugs Joe. “Thank you honey.”

Joe then picks up the Lego pieces, puts them in the box and gets Petey back in the room. “Hey Petey, I can’t figure out this Lego set. Sorry, but you’ll have to do it by yourself.”

Petey just looks at him. Joe smiles, turns and walks away.

Petey is soon hard at work. He loses interest in all of his toys except for this new Lego set. A few hours later he yells, “Mom! Dad! Come see my truck!”

**Records of crystals, kept here for reference:**
Record 1
Density functional theory data (PBE) for an optimized crystal structure of NdNiSnH2.

abc: 4.3956 4.3956 8.4965
angles: 90.00 90.00 120.00
Sites, in units of the cell vectors:
Nd  0.0000  0.0000  0.0000
Nd  0.0000  0.0000  0.5000
Ni  0.3333  0.6667  0.2500
Ni  0.6667  0.3333  0.7500
Sn  0.3333  0.6667  0.7500
Sn  0.6667  0.3333  0.2500
H  0.3333  0.6667  0.0619
H  0.3333  0.6667  0.4381
H  0.6667  0.3333  0.5619
H  0.6667  0.3333  0.9381

Summary:
Density ... 7.56 g/cm³
Space-group type ... P6_3/mmc
Total DFT energy (no corrections) ... -47.97 eV per cell
Energy of formation ... -0.600 eV/atom

Record 2
Density functional theory data (PBE) for an optimized crystal structure of NdNiSnH.

abc: 7.2442 4.3850 8.4694
angles: 90.00 90.00 90.00
Sites, in units of the cell vectors:
Nd  0.0130  0.2500  0.1889
Nd  0.4870  0.7500  0.6889
Nd  0.5130  0.2500  0.3111
Nd  0.9870  0.7500  0.8111
Ni  0.2207  0.7500  0.4007
Ni  0.2793  0.2500  0.9007
Ni  0.7207  0.7500  0.0993
Ni  0.7793  0.2500  0.5993
Sn  0.1583  0.2500  0.5692
Sn  0.3417  0.7500  0.0692
Sn  0.6583  0.2500  0.9308
Sn  0.8417  0.7500  0.4308
H  0.0590  0.2500  0.9195
H  0.4410  0.7500  0.4195
H  0.5590  0.2500  0.5805
H  0.9410  0.7500  0.0805

Summary:
Density ... 7.97 g/cm³
Space-group type ... Pnma
Total DFT energy (no corrections) ... -81.34 eV per cell
Energy of formation ... -0.641 eV/atom

Record 3
Density functional theory data (PBE) for an optimized crystal structure of NdH3O3.

abc: 6.5224 3.7094 6.5457
angles: 90.00 118.99 90.00
Sites, in units of the cell vectors:
Nd  0.1708  0.2500  0.3327
Nd  0.8292  0.7500  0.6673
H  0.2149  0.2500  0.8489
H  0.3524  0.7500  0.7110
H  0.3533  0.7500  0.1150
H  0.6467  0.2500  0.8850
H  0.6476  0.2500  0.2890
H  0.7851  0.7500  0.1511
O  0.0999  0.2500  0.6840
O  0.1896  0.7500  0.0768
O  0.4135  0.7500  0.6016
O  0.5865  0.2500  0.3984
O  0.8104  0.2500  0.9232
O  0.9001  0.7500  0.3160

Summary:
Density ... 4.68 g/cm³
Space-group type ... P2_1/m
Total DFT energy (no corrections) ... -86.41 eV per cell
Energy above the lowest structure with this stoichiometry ... 0 kJ/mol of formula units
Energy of formation ... -2.211 eV/atom

Record 4
Density functional theory data (PBE) for an optimized crystal structure of NdH3O3.

abc: 6.4420 6.4420 3.7564
angles: 90.00 90.00 120.00
Sites, in units of the cell vectors:
Nd  0.3333  0.6667  0.2500
Nd  0.6667  0.3333  0.7500
H  0.1371  0.8620  0.7500
H  0.1380  0.2751  0.7500
H  0.2751  0.1371  0.2500
H  0.7249  0.8629  0.7500
H  0.8620  0.7249  0.2500
H  0.8629  0.1380  0.2500
O  0.0824  0.3906  0.7500
O  0.3082  0.9176  0.7500
O  0.3906  0.3082  0.2500
O  0.6094  0.6918  0.7500
O  0.6918  0.0824  0.2500
O  0.9176  0.6094  0.2500

Summary:
Density ... 4.80 g/cm³
Space-group type ... P6_3/m
Total DFT energy (no corrections) ... -86.41 eV per cell
Energy above the lowest structure with this stoichiometry ... 0 kJ/mol of formula units
Energy of formation ... -2.211 eV/atom

Record 5

Even though Joe almost ruined Christmas, he was wise enough to change his mind and truly give gifts, control and all. He makes Christmas better than ever.

Read “Gift Giving” at